Banking Scams ft. Banking Tracker

‘Don’t be afraid to give up the good to go for the great’, quite a thought provoking quote isn’t it? Problem occurs when ill intentioned folks misconstrue the definition of good and great to turn things into a scam. Well yes, scam has been a buzzword in India since the 1990s. In this piece, we will highlight a few banking scams that have taken place in India. While a handful of these scams have been earth shattering for the concerned bank, few of them have just managed to scrape the surface. The objective of the writeup is to convey how we track such scams and make sure that your money is not invested in frothy companies.
First, let’s turn our attention towards three banking scams/crisis that proved to be fatal for the respective banks –
- Yes Bank
== Inserted here: molecular data ==
=====
[1]
CH5N3OS | the ωB97M-V functional and the def2-TZVPD basis

```
11
Properties=species:S:1:pos:R:3:lowdin_charge:R:1
C -0.02 -0.36 0.36 -0.35
N -0.99 0.00 -0.53 -0.14
N 1.03 0.70 0.47 -0.33
N -2.25 0.10 0.02 0.06
O 3.00 -0.87 0.06 -0.58
S 2.55 0.50 -0.26 0.85
H -0.50 -0.71 1.36 0.15
H 0.60 -1.22 0.20 0.08
H -0.86 -0.15 -1.48 0.11
H 0.47 1.60 0.34 0.12
H -3.03 0.43 -0.53 0.03
```

Summary:
**HOMO energy (spin up / spin down)**: -8.401 / -8.008 eV
**HOMO-LUMO gap (spin up / spin down)**: 7.9 / 8.4 eV
**DFT total energy**: -18467.03141 eV
**Total charge**: 0

[2]
CH5N3S | the ωB97M-V functional and the def2-TZVPD basis

```
10
Properties=species:S:1:pos:R:3:lowdin_charge:R:1
C 1.05 -0.88 -0.65 -0.79
N -1.18 0.35 1.30 -0.01
N 0.32 0.22 -0.53 -0.18
N -0.03 0.83 0.66 -0.16
S 1.42 -1.44 -2.14 0.55
H 1.35 -1.38 0.25 0.07
H -1.01 -0.59 1.63 0.07
H -2.03 0.36 0.71 0.08
H 0.21 0.68 -1.78 0.24
H -0.10 1.84 0.55 0.12
```

Summary:
**HOMO energy**: -8.523 eV
**HOMO-LUMO gap**: 9.3 eV
**DFT total energy**: -16420.39924 eV
**Total charge**: 0

[3]
CH5N3S2 | the ωB97M-V functional and the def2-TZVPD basis

```
11
Properties=species:S:1:pos:R:3:lowdin_charge:R:1
N 0.55 2.16 0.14 0.02
N -0.51 1.33 -0.24 -0.12
C -0.63 -0.02 0.02 -0.96
S -2.18 -0.65 -0.04 0.57
N 0.42 -0.76 0.42 -0.44
S 2.04 -0.68 -0.08 0.74
H 1.25 1.89 -0.51 0.03
H 0.83 1.93 1.11 0.10
H -1.34 1.75 -0.54 0.08
H 0.07 -1.67 0.67 0.05
H 1.91 -1.61 -1.18 -0.07
```

Summary:
**HOMO energy**: -8.412 eV
**HOMO-LUMO gap**: 8.7 eV
**DFT total energy**: -27257.47013 eV
**Total charge**: 0
**SMILES string**: NNC(=S)NS

[4]
CH5N3S2 | the ωB97M-V functional and the def2-TZVPD basis

```
11
Properties=species:S:1:pos:R:3:lowdin_charge:R:1
N -1.75 -0.84 -0.31 0.00
N -1.26 0.42 0.00 -0.13
C 0.09 0.78 -0.05 -0.97
S 0.55 2.36 -0.19 0.60
N 0.91 -0.31 -0.03 -0.45
S 2.61 -0.26 -0.25 0.73
H -1.23 -1.33 -1.06 0.10
H -1.72 -1.37 0.56 0.07
H -1.90 1.18 -0.18 0.11
H 0.69 -1.02 0.65 0.07
H 3.01 0.39 0.86 -0.14
```

Summary:
**HOMO energy**: -8.561 eV
**HOMO-LUMO gap**: 9.0 eV
**DFT total energy**: -27257.63232 eV
**Total charge**: 0
**SMILES string**: NNC(=S)NS

[5]
CH5N5 | the ωB97M-V functional and the def2-TZVPD basis

```
11
Properties=species:S:1:pos:R:3:lowdin_charge:R:1
C -1.97 -0.47 -0.10 -0.06
N -0.08 0.86 0.03 -0.02
N 2.19 0.51 0.05 0.08
N -1.39 0.64 0.04 -0.03
N 1.04 0.00 0.02 -0.41
N 0.78 -1.23 -0.02 0.09
H -1.49 -1.43 -0.22 0.04
H -3.05 -0.43 -0.07 0.06
H 0.16 1.82 0.24 0.14
H 2.19 1.52 0.06 0.04
H 1.63 -1.78 -0.03 0.07
```

Summary:
**HOMO energy**: -9.175 eV
**HOMO-LUMO gap**: 10.2 eV
=====
The Yes Bank saga is one of the most unexpected business blunders that one saw unfold. From rags to riches to rags.
Established in 2003, the bank grew a whopping 26 times in size between 2003 and 2018. The stock price rocketed from ₹9 to ₹400 between 2008 and 2018 making it India’s 4th largest private sector bank. Yes Bank’s loan book ballooned from ₹55,000 crores in FY14 to ₹2.4 lakh crores in FY19. All’s good, where’s the problem then?
The CEO of the bank, Rana Kapoor was actually siphoning off funds under the pretext of great business. In collaboration with DHFL promoters, Rana Kapoor siphoned as much as ~₹5000 crores from the bank. Huge sums of money were sanctioned towards stressed companies like DHFL, IL&FS, Essel Group, Anil Ambani’s group for Kapoor’s monetary benefits.
In 2017, when things started to get out of hand, RBI decided to investigate Yes Bank’s books. They found out that Yes Bank was grossly under-representing its non performing loans or NPAs. In FY16, Yes Bank reported NPAs worth ₹748 crores, however RBI found that number to be at ₹4925 crores, 557% higher! One thing led to another, soon Kapoor was ousted from the company and in 2020 the stock price crashed to ₹5 from ₹400 at one point of time. Later it was found out that Kapoor had pledged a sizable chunk of his Yes Bank shares to get loans from different banks, which were defaulted on. Hence, these institutions sold these shares contributing to the downfall of Yes Bank stock.
The meteoric rise of Yes Bank made it an obvious choice for us to include it in our Banking Tracker smallcase. We were monitoring the situation closely and got rid off the stock in September ‘18.
- Punjab National Bank
Punjab National Bank (PNB) was struck with a classic scam of close to ₹12,000 crores by Nirav Modi, a diamond merchant. It all started in 2011, when Modi produced fake PNB Letter of Understanding (LOUs) to different banks to garner loans from them. What is LOU?
LOU is like a guarantee slip provided by one bank to another on behalf of the former’s client. An LOU ensures that if the person taking the loan defaults, the LOU issuing bank will repay the debt to the other bank.
Now, with the help of a few PNB employees, Nirav Modi managed to get fake LOUs and produce it to different banks for getting the loan sanctioned. This continued till 2018, when finally the curtains fell on this scandal. PNB management got to know about the fake LOUs and they decided to report it to the CBI for further investigation. CBI came back with the entire thesis on how fake LOUs were issued and these loans were actually taken from overseas branches of Indian banks itself. After the scam was unearthed, PNB stock saw more than 55% correction wiping billions of investor wealth.
We held PNB in our smallcase but we were quick enough to identify problems with the company. The fundamentals began to deteriorate and NPA levels began to inch up. We managed to drop the company in 2017 as we had kept a close eye on its developments.
Infrastructure Leasing & Financial Services (IL&FS) was a non-banking financial institution who used to lend money to businesses for major infrastructure projects, as the name suggests. While things were running smoothly for the company for close to two decades, IL&FS collapsed in 2019 due to a string of irregularities.
In the quest of becoming the best, the core problem started to occur for IL&FS when they started to finance any and every infrastructure project without actually considering the viability of those projects. The IL&FS failed to gauge the business risk that they were getting exposed to. As a result, by 2019 IL&FS amassed debt of close to ₹1 lakh crores. Matters became so worse that the company was taking on short-term debt to finance long-term projects. This is a classic recipe for disaster. The first default took place in June 2018 worth ₹450 crores. And subsequently, it was a chain reaction.
Suddenly, the funding tap closed down for IL&FS and one default after another kept happening. The senior management had no answers. The amusing part is while IL&FS was piling debt to glory, credit rating agencies were honoring the company with the best (AAA) rating making it seem that everything is hunky dory. The systemic rot within various stakeholders led to the collapse of the mighty IL&FS.
In this case, because of the elevated debt levels, our red flags indicator never passed the stock for us to consider.
Now, let’s talk about a few companies that we hold in our smallcases currently and where recent frauds have been reported –
- Can Fin Homes
Can Fin Homes is a housing finance company in India. It primarily focuses on providing financial assistance for individuals looking to buy or construct homes. Can Fin Homes offers various home loan products and services to help people fulfill their housing needs.
In July ‘23, the company reported a financial fraud of ₹38 crores wherein three employees were reported for misappropriation of funds. On the day of the news, the stock tumbled close to 9%. However, since the crisis is on a smaller scale, the stock price has stabilized although it has not reached the previous peak. This case of employee fraud has occurred twice in the past 18 months.
- Bank of Baroda
Bank of Baroda’s mobile banking app was in the news recently, albeit for the wrong reasons. A couple of weeks ago, the bank discovered that in order to meet sales targets, bank employees had linked customer bank accounts to random phone numbers. These employees in the quest to meet sign up targets for the app linked customer bank accounts to phone numbers of staff, security personnel.
This is a serious threat to financial safety as phone number linking is instrumental to digital banking transactions. When the crisis got public, RBI ordered the bank to stop on-boarding any new customer onto their digital app until the mess gets cleared up. On the day of the news, the stock fell by around 3%, suggesting that the crisis is not earth shattering for Bank of Baroda.
(Attached: records of molecules)
~~~
Density functional theory data (the ωB97M-V functional and the def2-TZVPD basis) for a structure of composition F10K5N5O20S10.

Geometry as XYZ:
```
50
Properties=species:S:1:pos:R:3:mulliken_charge:R:1
S -0.975 5.402 -1.838 1.01
O 2.377 -1.787 0.552 -0.27
F -5.650 -0.685 0.571 -0.28
O -1.852 4.561 -1.048 -0.39
S -1.970 -4.379 -1.448 1.08
O -4.494 -0.239 2.514 -0.58
K -2.368 -0.854 -2.001 0.97
S -2.644 5.353 -3.694 1.00
F 0.418 4.497 -1.957 -0.30
O 0.360 -5.093 -3.162 -0.57
S 3.014 -0.826 -0.385 0.75
O -2.450 1.461 2.542 -0.60
K 4.132 2.914 0.111 0.94
O 3.302 -1.196 -1.761 -0.51
S 1.488 0.802 -1.172 0.74
O 2.571 -3.041 6.634 -0.58
O -2.142 -5.768 -1.911 -0.61
K 0.903 3.401 -4.440 0.93
O -0.446 6.570 -1.187 -0.60
F -1.681 2.304 0.486 -0.14
K 1.176 -3.969 1.835 0.96
S 3.767 -1.673 3.739 0.80
F 0.732 -2.613 -3.316 -0.30
O 0.414 -0.117 -1.350 -0.30
O -3.128 4.007 -3.345 -0.51
N -1.147 5.558 -3.483 -0.27
O 0.779 -3.629 -1.069 -0.45
S 2.449 -2.091 5.571 0.98
F -3.582 -3.963 -1.377 -0.33
O -3.563 6.431 -3.612 -0.59
F -2.381 5.269 -5.274 -0.31
K 1.897 1.701 2.490 1.00
N -3.764 0.830 0.309 -0.36
O 3.338 -0.367 3.236 -0.42
O 5.031 -1.693 4.517 -0.64
N 2.574 0.614 0.062 -0.13
N -1.527 -3.333 -2.532 -0.27
S 0.078 -3.842 -2.364 0.96
O -3.580 -1.690 0.578 -0.49
O 1.887 1.543 -2.393 -0.56
F 4.563 -0.902 0.046 -0.35
S -2.328 0.978 1.171 1.06
O -1.599 -4.112 -0.100 -0.46
F 0.792 2.088 -0.442 -0.29
F 4.358 -2.389 2.412 -0.31
O 2.580 -0.692 5.868 -0.51
N 2.858 -2.729 4.032 -0.06
F 0.861 -2.184 5.311 -0.27
S -4.169 -0.420 1.115 0.94
O -1.256 -0.008 0.960 -0.49
```

Computed properties:
LUMO: -3.0 eV
HOMO: -10.057 eV
relative energy (zero: lowest compared OMol25 entry of this formula, charge and spin): 0.0 kcal/mol
multiplicity: 1
Kohn-Sham gap: 7.06 eV
E: -9758.72298 Eh

~~~~~

Entry 1:
3 unconnected molecules or ions with the total composition H6O3. Source: the OMol25 dataset; level of theory: ωB97M-V with the def2-TZVPD basis set.

Properties
- max |F| (eV/A) = 0.9
- SMILES = O.O.O
- HOMO level (eV) = -10.52
- frontier orbital gap (eV) = 10.96
- E (eV) = -6239.8554

Each line ends with the natural charge from an NBO analysis.
Cartesian coordinates (Å):
O 3.709 -3.614 22.445  -0.9808
H 4.341 -3.614 21.725  0.4726
H 2.915 -3.237 22.066  0.4931
O 3.622 -3.561 25.172  -0.9603
H 4.534 -3.283 25.092  0.4628
H 3.287 -3.548 24.276  0.4875
O 1.347 -2.537 22.011  -0.9477
H 0.786 -2.355 22.766  0.4903
H 1.170 -1.820 21.403  0.4824



Entry 2:
C9H10Cl2Si in the gas phase. Source: the OMol25 dataset; level of theory: ωB97M-V with the def2-TZVPD basis set.

Properties
- max |F| (eV/A) = 7.9
- HOMO level (alpha / beta) (eV) = -6.19 / -9.69
- frontier orbital gap (alpha / beta) (eV) = 6.61 / 6.94
- E (eV) = -42414.6593
- 2S+1 = 3

Each line ends with the natural charge from an NBO analysis.
Cartesian coordinates (Å):
C 2.567 2.035 0.001  -0.1779
C 1.687 2.170 1.017  -0.2252
C 2.233 1.527 -1.275  -0.2094
C 0.474 1.503 0.915  -0.1561
C 0.913 0.976 -1.385  -0.1885
~~~
There is another famous banking scam relating to ICICI Bank which sent shock waves to the entire Indian banking industry. However, given the size and brand of ICICI, the bank managed to recuperate from the shambles of the scandal. Well, it was no different than the cases we have discussed earlier. Chanda Kochhar was appointed as the MD & CEO of ICICI Bank in 2009.
The article is interrupted by molecular data.
........
(1)
Here is a molecular structure, C7H8IO2P at a distorted geometry from the OMol25 dataset. Energies are from ωB97M-V/def2-TZVPD.

Each line ends with the Löwdin charge.
Element x y z (Å)
C -0.508 0.446 -0.645  -0.111
C -0.062 1.711 -0.547  -0.026
C 1.568 -0.330 0.497  -0.024
C 0.354 -0.456 -0.100  -0.027
C 1.080 2.022 0.232  -0.241
C 1.994 1.014 0.632  -0.245
C -0.498 -3.033 -0.636  -0.985
O 1.497 3.344 0.360  -0.014
O 3.211 1.348 1.175  0.067
P -1.807 -3.182 0.464  0.651
I 1.130 -4.226 0.071  0.664
H -1.379 0.005 -0.940  0.070
H -0.609 2.510 -0.958  0.105
H 2.268 -1.129 0.761  0.097
H -0.305 -2.860 -1.692  -0.024
H 0.744 3.938 0.753  0.173
H 3.178 2.312 0.969  0.110
H -1.368 -2.376 1.422  -0.130
H -2.657 -2.354 -0.245  -0.111

Cartesian forces (eV/Å) of the 2 atoms listed first:
2.0871 -1.4894 1.2863
1.0188 1.6122 1.4970

E_LUMO (spin up / spin down): -0.40 / 0.13 eV
energy above the lowest of the compared OMol25 structures with the same formula, charge and spin: 143.3 kcal/mol
HOMO-LUMO gap (spin up / spin down): 8.02 / 7.99 eV
DFT total energy: -1060.86002 hartree
largest force on an atom: 3.21 eV/Å

***

(2)
Here is 2 unconnected molecules or ions with the total composition CH6NO2 at a distorted geometry from the OMol25 dataset. Energies are from ωB97M-V/def2-TZVPD.

Each line ends with the Löwdin charge.
Element x y z (Å)
N -0.366 0.382 -1.454  -0.046
C -0.503 0.811 0.007  -0.603
O -0.759 -0.082 0.944  -0.296
H -1.264 0.419 -1.919  0.010
H -0.024 -0.567 -1.440  0.020
H -1.251 1.646 -0.123  0.067
H 0.394 1.453 0.171  0.064
H 0.506 -0.999 1.256  -0.020
H 2.011 -1.415 1.015  -0.027
O 1.257 -1.648 1.544  -0.169

Cartesian forces (eV/Å) of the 2 atoms listed first:
0.3578 0.2190 0.5420
-0.1979 1.8135 -0.8771

charge: -1
E_LUMO: 4.74 eV
energy above the lowest of the compared OMol25 structures with the same formula, charge and spin: 5.4 kcal/mol
HOMO-LUMO gap: 7.88 eV
DFT total energy: -246.94054 hartree
largest force on an atom: 2.02 eV/Å

***

(3)
Here is 2 unconnected molecules or ions with the total composition C3H11NOS2 at a distorted geometry from the OMol25 dataset. Energies are from ωB97M-V/def2-TZVPD.

Each line ends with the Löwdin charge.
Element x y z (Å)
S 2.417 2.237 -1.302  0.288
S 2.633 0.354 -0.485  0.356
C 1.458 -1.023 -1.126  -0.471
C 0.028 -0.855 -0.665  -0.336
N -0.316 -0.810 0.733  -0.112
C -1.121 -1.940 1.130  -0.134
H 1.199 2.582 -0.882  -0.228
H 1.623 -1.077 -2.232  0.087
H 1.923 -1.853 -0.719  0.026
H -0.617 -1.444 -1.292  0.096
H -0.127 0.276 -1.104  0.131
H 0.328 -0.446 1.365  0.075
H -1.763 -2.175 0.199  0.107
H -1.711 -1.596 1.966  0.065
H -0.698 -2.831 1.496  0.047
H -2.247 3.096 0.563  0.042
H -1.647 3.989 1.628  0.100
O -1.363 3.518 0.727  -0.140

Cartesian forces (eV/Å) of the 2 atoms listed first:
-0.1513 -0.6751 -0.6182
-0.3486 -0.8685 0.5073

E_LUMO: 0.56 eV
energy above the lowest of the compared OMol25 structures with the same formula, charge and spin: 42.4 kcal/mol
HOMO-LUMO gap: 9.04 eV
........
While ICICI was thriving under her leadership, the ship started witnessing turbulence in 2016 when unviable loans from ICICI Bank to the Videocon Group came to light. It was found that more than ₹3000 crores worth of loan was sanctioned to Videocon and its group companies between 2009 and 2012, in spite of the knowledge that Videocon would not be able to repay the debt, Kochaar kept sanctioning the loans. Finally in 2017, the Videocon Group was declared as an NPA. Why did Kochhar do this? Because in lieu of these shoddy loans, the Videocon Group transferred cash and other material benefits to herself and her spouse. ICICI Bank shares saw market capitalization of more than ₹10,000 crores getting wiped out in a single day. That being said, given the huge size of the bank, the Kochhar fiasco did not derail them completely and the bank has managed to be one of the finest running banks in India again.
You see, we hold Can Fin, Bank of Baroda, ICICI Bank in our smallcases. The natural question would be – why? The reason behind it is that we believe that these irregularities do not have the potential to derail the company altogether. We have an extremely meticulous process when it comes to tracking red flags because we aim to stay ahead of the curve. No doubt this is a red flag and we are vigilantly tracking these companies. If we notice further irregularities, we will not shy away from removing these companies from our portfolios.
To conclude, our focus at Windmill Capital is to protect our investors’ wealth. As per track record, we have always managed to stay away from frothy companies that have destroyed shareholder wealth. While it’s not possible for one to discover an internal scam before it’s actually unearthed, however fundamentals do help in order to gauge if anything extraordinary begins to occur with respect to a company. Not only that, we actually track our universe’s companies on a day to day basis to check up on everything that the company is up to. The second point we wanted to convey was that not all negative news or employee mishaps warrants an immediate reaction from us. The cases being discussed in the second half of the writeup is primarily to make you understand this aspect of the puzzle. At the end, as analysts we have to separate wheat from the chaff and make an informed decision.